== Assignment ==
Next, type out all of the lines below character by character.

== Input ==
First-principles (PBE with a Hubbard U) data for a relaxed structure of NaCrW2O8, as listed in the Alexandria database.

Unit cell a=5.9996 b=5.9996 c=5.9996 alpha=107.71 beta=107.71 gamma=113.06
Positions (direct):
1 Na 0.0000 0.0000 0.0000
2 Cr 0.2500 0.7500 0.5000
3 W 0.5000 0.5000 0.0000
4 W 0.7500 0.2500 0.5000
5 O 0.3420 0.1304 0.7884
6 O 0.3420 0.5536 0.2116
7 O 0.3790 0.0759 0.3031
8 O 0.4464 0.6580 0.7884
9 O 0.7728 0.0759 0.6969
10 O 0.8696 0.6580 0.2116
11 O 0.9241 0.2272 0.3031
12 O 0.9241 0.6210 0.6969

Summary:
ΔE to the lowest computed polymorph ... 346.1 meV per atom

== Response ==
First-principles (PBE with a Hubbard U) data for a relaxed structure of NaCrW2O8, as listed in the Alexandria database.

Unit cell a=5.9996 b=5.9996 c=5.9996 alpha=107.71 beta=107.71 gamma=113.06
Positions (direct):
1 Na 0.0000 0.0000 0.0000
2 Cr 0.2500 0.7500 0.5000
3 W 0.5000 0.5000 0.0000
4 W 0.7500 0.2500 0.5000
5 O 0.3420 0.1304 0.7884
6 O 0.3420 0.5536 0.2116
7 O 0.3790 0.0759 0.3031
8 O 0.4464 0.6580 0.7884
9 O 0.7728 0.0759 0.6969
10 O 0.8696 0.6580 0.2116
11 O 0.9241 0.2272 0.3031
12 O 0.9241 0.6210 0.6969

Summary:
ΔE to the lowest computed polymorph ... 346.1 meV per atom